Guidelines for Submission and the Publishing Process

Publishing with Perceptions Press

The publishing process can seem complicated, especially if you are a first time author. Perceptions Press is a small company located in Victoria, British Columbia, Canada, specializing in innovative and avant-garde fiction and non-fiction manuscripts focused on transgender subjects and/or written by transgender authors. We work closely with authors to ensure quality publications and are proud of our commitment to detail. We are always here to answer questions regarding any aspect of your manuscript during the writing, production and/or publishing processes. We offer individualized support to authors beginning with our initial contact right through to publication.

Services available to PP Authors

Most projects go through several stages, including various types of editing prior to publication. These services are agreed to and set out in Editing Services and/or Publishing agreements, which are signed by the author and the editor and/or publisher depending on the services provided (see the Services and Fees page for costs).

  • Artwork and Image Editing: editing/manipulation of author owned/created photos and artwork to ensure they comply with publication requirements
  • Cover and Title Design: cover design using author owned/created images and artwork, help with title development
  • Substantive/structural editing: Clarifying or reorganizing a manuscript for content and structure
  • Stylistic editing: Clarifying meaning, eliminating jargon, polishing language, and other line-by-line editing
  • Copy editing: Editing for grammar, usage, spelling, punctuation, and other mechanics of style; checking for consistency of mechanics and for internal consistency of facts; inserting head levels and approximate placement of art; editing tables, figures, and lists; notifying the designer of any unusual production requirements
  • Proofreading: Checking page proofs of formatted, edited material for adherence to design and for minor, mechanical errors in copy (such as spelling mistakes or small deviations from the style sheet)

**Calculated molecules from another source follow**
'''
[1]
The following is a DFT calculation (ωB97M-V with the def2-TZVPD basis set) of a cluster of 2 separate species, C10H14NSe in total at a distorted geometry.

Element x y z (Å)
C1 0.7766 -1.8628 -1.7053
C2 -0.5133 -2.0102 -1.3418
C3 1.0072 -0.1060 -0.1640
C4 1.5579 -0.8527 -1.1586
C5 -0.3422 -0.1599 0.0150
C6 -1.1631 -1.0737 -0.5563
C7 -2.4801 0.5351 0.7765
C8 2.8797 -0.5261 -1.7255
C9 -0.5188 2.0880 0.8821
C10 -0.6177 0.1677 2.3803
N1 -1.0556 0.7099 1.0255
Se1 -2.8908 -1.1418 0.0792
H1 1.2705 -2.5785 -2.2959
H2 -1.1579 -2.7769 -1.8986
H3 1.6343 0.5490 0.3275
H4 -3.0671 0.8593 1.6441
H5 -2.2858 1.8655 -0.8218
H6 2.5260 0.1589 -2.6097
H7 3.6168 0.0388 -1.2251
H8 3.3460 -1.4939 -2.0012
H9 -0.7793 2.5311 -0.1649
H10 -0.7306 2.7683 1.7259
H11 0.5124 2.1713 0.8010
H12 -1.0309 -0.7870 2.4587
H13 0.4449 0.2014 2.2838
H14 -0.9392 0.7253 3.2692

Output
Energy relative to the best compared isomer or geometry (same formula, charge and spin) (kJ/mol): 395.1
Molar mass (Da): 227.189
Charge: +1
Highest occupied orbital energy (spin up / spin down) (hartree): -0.437 / -0.450

[2]
The following is a DFT calculation (ωB97M-V with the def2-TZVPD basis set) of the molecule C10H14O3S2 at a distorted geometry.

Element x y z (Å)
C1 -1.4196 -2.3808 -0.1242
C2 -0.5046 -2.0035 -0.8045
C3 0.5460 1.4197 -0.0360
C4 1.0274 0.7363 -0.9862
C5 -2.7566 -1.9772 2.0014
C6 1.8358 2.7161 1.6506
C7 -2.4627 -2.8487 0.7842
C8 0.6189 -1.6241 -1.6897
C9 0.7970 1.5495 1.4463
C10 1.6163 -0.6519 -1.1342
O1 0.3942 4.4535 -1.2245
O2 -0.5595 0.7173 -3.1264
O3 1.6260 1.8532 -3.2978
S1 -0.4526 3.2881 -1.2995
S2 0.4635 1.5303 -2.5507
H1 -2.8414 -0.8685 1.6686
H2 -1.7959 -2.0842 2.5773
H3 -3.7247 -2.4854 2.4819
H4 1.8483 3.0190 2.7009
H5 1.6552 3.5130 0.9812
H6 2.6821 2.1447 1.4094
H7 -2.0234 -3.7106 1.0981
H8 -3.2721 -3.0526 0.1023
H9 1.1246 -2.5112 -1.8286
H10 0.2195 -1.3307 -2.6906
H11 -0.1248 1.6467 1.9792
H12 1.1097 0.6054 1.7305
H13 2.5840 -0.6998 -1.7130
H14 1.7893 -0.9634 -0.1061

Output
Energy relative to the best compared isomer or geometry (same formula, charge and spin) (kJ/mol): 438.5
Molar mass (Da): 246.353
Charge: 0
Highest occupied orbital energy (spin up / spin down) (hartree): -0.331 / -0.331

* * * * *

1.
17
Properties=species:S:1:pos:R:3 method="wB97M-V/def2-TZVPD" de_lowest_kcal_mol=39.44 total_energy_ev=-12947.470 gap_ev=8.54 total_charge=+1 multiplicity=1
N -0.26729 2.22997 1.22816
C -0.71009 1.10491 0.64054
N -1.79174 0.51241 0.96023
C -2.24197 -0.81748 0.64454
C -2.02205 -1.62179 -0.38314
F -1.10915 -1.45919 -1.29121
N 0.18806 0.84700 -0.46154
C 1.23401 0.03576 -0.27429
N 1.71067 -0.82337 -1.11902
H -0.50030 2.32233 2.23264
H 0.44484 2.86212 0.98810
H -3.08529 -0.94193 1.25508
H -2.42589 -2.64105 -0.55155
H -0.26149 0.56508 -1.37046
H 1.76975 -0.02489 0.71107
H 2.45930 -1.44242 -0.90945
H 1.17563 -0.96041 -1.99162

2.
19
'''
**Here the article continues**

Style Guidelines

When preparing your manuscript, please follow the style guidelines as closely as possible. We recommend that you use our house style from the outset of your writing, since re-editing/re-formatting your manuscript to comply with our house style at the last stage can be very laborious.


Contact us at any time during your writing process to inquire about our interest in your manuscript or aspects of the publishing process. The timeline for publication is set out in the Publishing and Copyright Agreement, which is signed by the publisher and the author following a verbal agreement to work together. Normally, publication occurs 6 to 9 months following the signing of the contract, This depends on the complexity of the manuscript, the amount and types of editorial support required, the author’s ability to meet deadlines set by the publisher, and publisher workload. Any delays in writing, editing, or proofreading the manuscript will have an impact on the publication date. Please let us know if you anticipate any delays or will be away during the publishing process.

The contract indicates a maximum length for your manuscript. If it becomes clear that the agreed length is unworkable, please let us know as soon as possible. We can generally accommodate minor changes in length (i.e. within 10-15%), but more significant changes will require serious consideration as they are likely to have an impact on the selling price and, in turn, on the sales potential of the book and author royalties.


Permission must be obtained from the copyright holder for any third-party materials included or cited in the manuscript that fall outside the limitations of “fair dealing” or “fair use” conventions. It is the author’s responsibility to ensure that all permission requirements are met. For additional information about fair dealing/fair use and/or copyright regulations in Canada see and

PLEASE NOTE: Artwork and images, including photographs, maps, and line drawings, also require written permission from the copyright holder. Photocopies or scans of permissions granted must be submitted with your manuscript.

Artwork and Images

The use of images and the number permitted are agreed upon and stated in the contract. Any changes to these specifications must be approved in advance of submission of the final manuscript.

Cover Design and Book Title

The cover design begins early in the publication process. If you have ideas or specific images in mind, or if you have contracted cover design with an independent cover designer, please discuss this with us well in advance. We require high resolution images (usually 300 dpi), licensed for commercial use. Images sourced through reputable agencies are preferred.

PLEASE NOTE: Most images found on the internet are subject to copyright and/or royalties.

The title of your book should be short, descriptive, easy to remember, and appropriate to the genre of your book. If you decide to change the title, please discuss this with us as early as possible in the process. Once your book has been advertised, it is not advisable to change the title.

Submitting Your Manuscript

The manuscript should be submitted electronically as an email attachment. Photos and artwork should be supplied electronically, in separate files, as high resolution scans. Scans or photocopies of all permission documents must be supplied at this stage. Authors may find the Industry Standards Checklist helpful to ensure their submission is complete.

Please ensure that your manuscript is completely finished (no further writing or re-writing is anticipated) and that it has been proofread. It should be as free from errors or omissions as you can make it. Have your manuscript read by a colleague or professional editor prior to submission. If English is not your first language, we encourage you to have it professionally edited. As the editor of a contributed volume, it is your responsibility to check through the entire manuscript to ensure accuracy and consistency of style throughout, especially in terms of the notes and references.

PLEASE NOTE: Corrections made at the proof stage are very expensive and costs for changes will be passed on to the author.

Please ensure that every element to be incorporated in your book is present at the time of submission, including (but not limited to):

  • Title page
  • Table of contents
  • List of contributors
  • List of illustrations
  • Glossary
  • Foreword or preface
  • Notes
  • Bibliography

Editorial Assessment of Manuscript

On receipt of the manuscript, an editorial assessment will take place. An Assessment Editor will check the word count and the number of illustrations to ensure that the book complies with the Publishing and Copyright Agreement. Your book may be sent to an external reviewer/reader at this stage. The reviewer/reader will assess the manuscript for consistency of content and plot elements. Readers’ reports and/or any queries or suggestions will be sent to you for a response. Any revisions will be negotiated and a final submission date agreed upon. Please inform us if you will be unavailable at any point during the production process. Any absence may have an impact on the publication timeline.

Following the editorial assessment and approval of the manuscript, no further substantive changes are expected and the production process begins.

Production Process

You will receive an email message confirming receipt of your manuscript and outlining the process by which your book will become ready for paperback and e-book publication and distribution.

The next stages and standard production times for a straightforward, uncomplicated manuscript are:

  • Copy Editing (4-6 weeks, feedback to the author in the final week)
  • Paperback formatting (previously known as typesetting) (2 weeks)
  • Proofreading (2-3 weeks)
  • Final Revisions (1 week)
  • Revision Check and Subject Indexing (1-2 weeks)
  • Final Corrections (1 week)
  • E-book Formatting (1 week)
  • Printing and Posting on Amazon (1 week)
  • Delivery of Author Copies (2-4 weeks)

 Copy Editing

An experienced Editor will work with you during this process. The level of editing required varies from project to project but usually includes:

  • Correcting grammar, spelling, punctuation, and syntax
  • Checking references and bibliography for omissions and inconsistencies
  • Bringing any suspected errors, omissions, inconsistencies or duplication to the author’s attention

As a rule, the Copy Editor does not make stylistic interventions/suggestions beyond implementation of style guidelines. The Copy Editor does not undertake major changes to or rewriting of the manuscript. If this is required, the manuscript will be resent for editorial assessment. It is your responsibility to supply responses to the Copy Editor in a timely manner.

PLEASE NOTE: You will not see the copy edited manuscript once it is completed. You will not see the manuscript until the proofreading stage.

Indexing (if required)

You may choose to supply your own subject index or we will commission an Indexer to create one for you, if a subject index is required. If you are preparing your own index, a list of headwords and subheadings should be drawn up at the first proof stage. We recommend that page numbers not be added until the proof is approved and the pagination of the book is secure. If you have opted for the services on an Indexer, they will be asked to compile the index at the first proof stage and you will be sent a copy of the index to check at the revised proof stage.


Once the copy editing process is complete, you will be sent page proofs in electronic PDF format. Please check these carefully since this is the last change to make any amendments before the book goes to press.

PLEASE NOTE: Only essential corrections (such as typographic errors) will be made at this stage. If substantial changes are required, the manuscript will be resent for editorial assessment and copy editing, and the costs for changes will be passed on to the author.

If any corrections are required to the first proof, you will receive a revised proof in electronic format to re-check. At this stage, you will finalize the subject index if you are preparing it yourself. If you are not preparing it yourself, an Indexer will create a subject index for you.

Printing and Publication

Once the revised proof has been approved, digital and print-ready files will be prepared. Final artwork for the cover is finalized at this time. All files are checked to ensure that there are no formatting errors. Then, they are sent to the printer

Paperback and e-book formats go live on Amazon within 1 week. Complimentary copies (as agreed in the contract) are forwarded to the author at this time.

Marketing Your Book

We promote your book on our website and other electronic media, and exhibit it at relevant conferences. Please let us know if you plan to attend a conference or other event at which you may be able to promote your book. We will assist you to develop electronic flyers or other promotional materials. We encourage authors to undertake other forms of marketing, including by not restricted to seeking out reviewers and approaching local booksellers to arrange for book signings. Please let us know if your book is eligible for or wins any prizes or awards.